To do
Next, quote the rows further below from the line with "7.579 -3.332" to the end verbatim.

Entries
# C47H109FO16

A cluster of 12 separate species, C47H109FO16 in total in a non-equilibrium geometry (ωB97M-V with the def2-TZVPD basis set, the Open Molecules 2025 dataset).

XYZ file:
```
173
C47H109FO16 (ωB97M-V with the def2-TZVPD basis set)
H -1.456 -6.090 3.725
C 3.819 -0.820 1.471
C -6.036 1.111 2.169
C -1.175 0.758 -4.713
H 4.922 -3.808 -2.049
C -2.795 -3.494 1.589
C -2.031 6.653 -4.907
H 6.282 -4.363 4.295
H -1.199 -0.093 0.910
H -1.714 3.163 -6.658
H 4.283 -1.266 -3.513
H -2.193 -2.923 -5.165
H -3.309 -5.622 1.118
H 6.393 -2.617 4.742
H -1.411 1.350 6.684
H -2.472 -2.179 -3.562
O 4.708 -3.838 2.564
C -0.449 1.905 0.537
C 5.937 2.554 -0.090
C -3.408 0.815 7.289
H 2.898 1.866 -2.956
O 0.298 -0.049 -0.470
O 5.085 2.598 -1.240
O 6.225 -1.833 -2.971
C 0.294 4.796 4.945
H -6.861 -2.176 -5.142
C -1.211 5.617 -2.962
H 7.558 3.192 -1.318
H -6.783 0.317 2.176
C -4.135 -2.636 4.890
H -0.737 -1.284 -1.627
H -4.408 -4.405 0.475
H 8.602 -0.770 -3.882
C -0.136 0.298 4.303
H -4.549 -2.779 -6.006
C 7.013 3.519 -0.432
H 4.554 -3.766 -3.723
O -3.978 -3.422 -4.243
H -1.667 0.570 -0.692
H -2.627 3.150 -4.231
H -0.131 5.406 5.742
H -1.929 7.147 1.952
H 3.308 -3.538 -2.552
H -1.102 -7.692 4.435
H -3.900 -0.529 -2.171
H -1.646 -7.486 2.753
C 0.359 5.537 3.624
O 0.602 -5.823 2.200
H 1.259 4.409 5.275
H 0.845 -0.073 4.009
H -2.509 1.713 -7.023
H -0.783 -1.725 4.997
C 0.437 -6.860 3.109
H 0.313 1.973 1.313
O -3.706 -3.433 2.696
H -3.573 1.806 7.712
H -2.767 -4.787 -0.178
O -1.550 5.437 -4.327
C -2.194 6.463 -6.417
F -4.073 2.281 -5.250
C 1.293 -1.961 -1.617
H 6.560 -0.326 -1.688
O -4.507 0.250 0.357
H 5.477 2.964 0.809
C 3.784 2.002 -1.011
H 7.756 3.602 0.361
H 6.438 1.605 0.103
H -1.307 6.530 -7.047
C -3.156 -2.638 3.696
H -5.926 1.608 3.133
H 1.146 -2.943 -2.065
C -4.814 0.000 -1.903
C 2.749 2.445 -2.045
C -2.545 -3.095 -4.148
C 0.065 -1.366 -0.893
H -2.665 1.491 5.349
H 7.579 -3.332 3.551
H 2.650 -5.472 2.444
H 1.052 6.361 3.795
H 1.097 -4.377 0.175
H -0.014 5.059 1.023
C 6.825 -0.604 -2.708
H 2.806 -4.227 0.120
C -0.760 5.822 0.800
O -2.420 1.106 -4.272
H 3.884 0.916 -1.002
C -2.008 2.219 -6.197
H -2.751 -2.596 0.973
H 1.629 -1.263 -2.383
C 4.336 -3.257 -2.784
O -2.049 -0.386 5.778
H -0.382 6.323 -2.911
H 8.748 -1.720 -2.335
H 1.873 -3.459 1.407
O -4.679 2.079 -0.892
O -0.884 1.452 -5.800
H 6.539 4.470 -0.675
H -3.932 1.688 1.745
C 1.936 -5.699 1.652
H -2.720 5.518 -6.548
H -2.103 -4.345 -2.399
H 2.283 -6.570 1.095
H 6.517 0.162 -3.421
H 0.017 1.328 4.626
H 3.198 -1.427 2.130
H 1.728 2.264 -1.707
H -0.311 3.895 4.847
H -3.030 6.934 -4.573
H 2.130 -1.928 -0.920
H -2.038 -5.160 -3.871
C -0.716 -0.680 5.301
H -6.427 -2.613 -3.476
H 4.657 -2.358 0.462
H -0.199 -0.785 6.255
H -1.332 3.610 -2.076
H -0.103 -2.080 -0.087
H -4.417 -3.654 5.158
C 5.627 -3.065 2.780
O 5.839 -1.907 2.102
H -4.140 0.229 2.478
O -0.481 -0.096 -4.184
C -2.305 0.938 6.217
H -2.994 -1.591 3.437
C -2.789 2.302 -4.896
H 3.398 2.323 -0.044
H 5.623 -0.824 0.421
H -6.476 -3.786 -4.800
C -1.019 -7.072 3.543
H 0.046 4.567 -1.555
C 8.376 -0.816 -2.817
C 5.060 -1.525 1.038
H 0.877 -7.771 2.703
H -0.216 2.565 -0.298
C -4.751 -2.549 -4.960
C -0.946 6.684 2.037
H -2.184 -3.028 3.999
C 1.979 -4.369 0.816
H -3.580 -2.181 5.710
H -0.680 0.432 3.368
O -0.957 5.909 3.236
H -4.918 0.650 -2.771
H -1.772 -3.693 1.908
H 2.910 3.433 -2.475
C -6.186 -2.772 -4.528
C -0.612 4.362 -2.399
H 4.142 0.095 1.969
C -4.582 0.816 1.672
H -0.077 3.844 -3.195
C -4.682 0.895 -0.712
C 4.822 -1.797 -2.728
H -6.334 1.944 1.532
H -5.597 -0.757 -1.936
H -2.774 7.331 -6.731
H -3.185 0.162 8.132
H -4.539 -1.509 -4.711
C -3.365 -4.611 0.716
H 0.859 4.850 2.941
C -1.766 -4.203 -3.426
C -0.877 0.504 0.056
H -0.166 7.438 2.146
H 4.563 -1.305 -1.791
H -1.344 7.452 -4.627
H 1.102 -6.741 3.964
H -1.693 5.386 0.444
H 8.835 0.041 -2.323
H -0.400 6.479 0.008
H -1.989 6.069 -2.347
H -5.066 -2.090 4.741
H 3.239 -0.600 0.575
C 6.573 -3.365 3.970
H -0.684 -4.133 -3.310
H -1.304 2.351 1.046
H -4.388 0.495 6.935
```

Worked solution
H 7.579 -3.332 3.551
H 2.650 -5.472 2.444
H 1.052 6.361 3.795
H 1.097 -4.377 0.175
H -0.014 5.059 1.023
C 6.825 -0.604 -2.708
H 2.806 -4.227 0.120
C -0.760 5.822 0.800
O -2.420 1.106 -4.272
H 3.884 0.916 -1.002
C -2.008 2.219 -6.197
H -2.751 -2.596 0.973
H 1.629 -1.263 -2.383
C 4.336 -3.257 -2.784
O -2.049 -0.386 5.778
H -0.382 6.323 -2.911
H 8.748 -1.720 -2.335
H 1.873 -3.459 1.407
O -4.679 2.079 -0.892
O -0.884 1.452 -5.800
H 6.539 4.470 -0.675
H -3.932 1.688 1.745
C 1.936 -5.699 1.652
H -2.720 5.518 -6.548
H -2.103 -4.345 -2.399
H 2.283 -6.570 1.095
H 6.517 0.162 -3.421
H 0.017 1.328 4.626
H 3.198 -1.427 2.130
H 1.728 2.264 -1.707
H -0.311 3.895 4.847
H -3.030 6.934 -4.573
H 2.130 -1.928 -0.920
H -2.038 -5.160 -3.871
C -0.716 -0.680 5.301
H -6.427 -2.613 -3.476
H 4.657 -2.358 0.462
H -0.199 -0.785 6.255
H -1.332 3.610 -2.076
H -0.103 -2.080 -0.087
H -4.417 -3.654 5.158
C 5.627 -3.065 2.780
O 5.839 -1.907 2.102
H -4.140 0.229 2.478
O -0.481 -0.096 -4.184
C -2.305 0.938 6.217
H -2.994 -1.591 3.437
C -2.789 2.302 -4.896
H 3.398 2.323 -0.044
H 5.623 -0.824 0.421
H -6.476 -3.786 -4.800
C -1.019 -7.072 3.543
H 0.046 4.567 -1.555
C 8.376 -0.816 -2.817
C 5.060 -1.525 1.038
H 0.877 -7.771 2.703
H -0.216 2.565 -0.298
C -4.751 -2.549 -4.960
C -0.946 6.684 2.037
H -2.184 -3.028 3.999
C 1.979 -4.369 0.816
H -3.580 -2.181 5.710
H -0.680 0.432 3.368
O -0.957 5.909 3.236
H -4.918 0.650 -2.771
H -1.772 -3.693 1.908
H 2.910 3.433 -2.475
C -6.186 -2.772 -4.528
C -0.612 4.362 -2.399
H 4.142 0.095 1.969
C -4.582 0.816 1.672
H -0.077 3.844 -3.195
C -4.682 0.895 -0.712
C 4.822 -1.797 -2.728
H -6.334 1.944 1.532
H -5.597 -0.757 -1.936
H -2.774 7.331 -6.731
H -3.185 0.162 8.132
H -4.539 -1.509 -4.711
C -3.365 -4.611 0.716
H 0.859 4.850 2.941
C -1.766 -4.203 -3.426
C -0.877 0.504 0.056
H -0.166 7.438 2.146
H 4.563 -1.305 -1.791
H -1.344 7.452 -4.627
H 1.102 -6.741 3.964
H -1.693 5.386 0.444
H 8.835 0.041 -2.323
H -0.400 6.479 0.008
H -1.989 6.069 -2.347
H -5.066 -2.090 4.741
H 3.239 -0.600 0.575
C 6.573 -3.365 3.970
H -0.684 -4.133 -3.310
H -1.304 2.351 1.046
H -4.388 0.495 6.935
```